description which^ accompl&ifed it was a sl^lèctive as the
* figure, the author’spencff notés haying^eea. f«kujjd partly U J^hle,
and it wàs mà'rked.Jby him as a Tririp p ip ayfecond’and much
improved edition/ which it^||ias ^pleased *the author to eall" arf[
O rig in al ^otkjlthough the plate§ are idenjjjfoal with the former;
Mr.Ord’s descâplion aàd pérsoHal o h s e rv ^ ^ is ^ à e very cdrréct»
and^^enious, Mit the name and svny mes are^fRogether mis-
**Attached: crystal structures**
-- begin --
The following is a simulated powder diffractogram of Pr5Ho2Tm12. It was derived from a GGA-PBE-relaxed structure, using Cu Kα (λ = 1.5418 Å).
Neutral-atom scattering factors, no anomalous dispersion.

Crystal structure
```
19
Lattice="6.729 0.000 0.000 -2.041 8.375 0.000 -2.592 -3.967 10.787" Properties=species:S:1:pos:R:3 pbc="T T T"
Pr 0.000 0.000 0.000
Pr -0.217 5.599 0.066
Pr 0.002 -1.528 6.560
Pr 2.094 5.937 4.227
Pr 2.313 -1.190 10.721
Ho -0.172 3.591 5.767
Ho 2.268 0.818 5.020
Tm -1.046 0.611 4.032
Tm -2.009 1.137 7.436
Tm -1.185 6.312 3.251
Tm -0.894 -1.109 9.850
Tm 0.801 3.047 2.400
Tm -1.084 4.165 9.100
Tm 3.180 0.244 1.688
Tm 1.295 1.362 8.387
Tm 2.990 5.518 0.938
Tm 3.281 -1.903 7.536
Tm 4.105 3.272 3.351
Tm 3.142 3.798 6.755
```

Principal peaks in the range 2θ from 10° to 90°, in order of rising 2θ:
30.1°, I = 42
31.1°, I = 22
31.4°, I = 50
31.8°, I = 80
32.0°, I = 76
32.3°, I = 47
32.4°, I = 100
33.6°, I = 26
47.3°, I = 18
56.5°, I = 18

* * * * *

No. 1
This entry pairs a crystal structure of Cu4Ag5 with its simulated powder diffraction line list. Radiation: Cu Kα (λ = 1.5418 Å). Structure: the PBE geometry in OQMD.
Intensities are scaled so that the largest is 100.

Main lines, by angle (2θ = 10–90°):
2θ (°)	I (rel.)
39.6	100
45.4	33
47.4	15
66.1	5
66.3	5
67.7	19
79.9	11
80.1	11
82.9	11
85.5	5

Structure:
Lattice parameters (Å, degrees): 3.837 8.455 8.483 90.00 90.00 90.00
Space group Imm2 (No. 44)
Asymmetric unit:
Cu (0.000, 0.000, 0.000) (multiplicity 2)
Cu (0.000, 0.000, 0.335) (multiplicity 2)
Cu (0.000, 0.340, 0.344) (multiplicity 4)
Ag (0.000, 0.000, 0.684) (multiplicity 2)
Ag (0.000, 0.330, 0.998) (multiplicity 4)
Ag (0.000, 0.337, 0.671) (multiplicity 4)

---

No. 2
This entry pairs a crystal structure of Cu3Ag2 with its simulated powder diffraction line list. Radiation: Cu Kα (λ = 1.5418 Å). Structure: the PBE geometry in OQMD.
Intensities are scaled so that the largest is 100.

Main lines, by angle (2θ = 10–90°):
2θ (°)	I (rel.)
40.4	48
40.5	48
41.0	100
45.1	74
51.8	20
71.0	14
71.2	14
79.6	11
79.8	11
80.7	23

Structure:
Lattice parameters (Å, degrees): 17.865 2.816 5.748 90.00 99.10 90.00
Space group Cm (No. 8)
Asymmetric unit:
Cu (0.000, 0.000, 0.000) (multiplicity 2)
Cu (0.001, 0.000, 0.466) (multiplicity 2)
Cu (0.215, 0.000, 0.087) (multiplicity 2)
Cu (0.312, 0.500, 0.356) (multiplicity 2)
Cu (0.313, 0.500, 0.923) (multiplicity 2)
Cu (0.409, 0.000, 0.189) (multiplicity 2)
Ag (0.102, 0.500, 0.786) (multiplicity 2)
Ag (0.108, 0.500, 0.282) (multiplicity 2)
Ag (0.222, 0.000, 0.598) (multiplicity 2)
Ag (0.404, 0.000, 0.683) (multiplicity 2)

---

No. 3
This entry pairs a crystal structure of Cu5Ag3 with its simulated powder diffraction line list. Radiation: Cu Kα (λ = 1.5418 Å). Structure: the PBE geometry in OQMD.
Intensities are scaled so that the largest is 100.

Main lines, by angle (2θ = 10–90°):
2θ (°)	I (rel.)
34.3	14
40.6	89
41.0	100
46.4	59
49.5	28
68.3	10
70.2	32
81.8	13
82.6	21
86.9	10

Structure:
-- stop --
**The crystal structures stop here**
appliedj through ^ mistaking I t fcr^the Phalaropushyùerboreus.
In a paper published in the Annals of the Lyceum of $few- York,
I ivailed myself of the first opportunity that offered tocXplain the
confusion respecting the "three ;â0 cies, and' finalisa» distinguished»
among them three groups which *i$e exmnp1iffila||n mjêSynopsis»
Mr. Sabine was not aware when he appli^Kofffifs bird' ttfe
name of op^,predééesjM^thaf he was performing not me&e|y&n
act ç f «®àrtesy and ri^ p c t, hut*one ©f justice alito to w à r ^ i ts
first discoverer. It was only by actuaLmspection o f speiibfen
examined by W2 s(M/-and •preserve®|JPthe Albanj|j|Ri|||eum, that
we could identity the species, and it does not appe^nRmprising to-*
us that seme who Irave not thus verified the fact for tfoamBelgfc
should still express doubts, as Baron Cuyielf hasfdone b||pimpïr-
cation in the- new edition of his Reg%tg Jlnirnd^k* IVe ourselves',
when we first procured thé bird, had not thè least suspicion j
that it wap; contained iifijBjjjâson’s wprk. É Every one will therefore
. be sensible of the prcquicty off publishing a new - figure* more
needed in fact in this pàse than if the species had been new.
tThe deseriptiop in -Sabine’s Appendix to Franklin’s Expedition
©ould not however & misunders«od, and Temapnck and Vieillot
by its perusal w o J ^ p a y e spareÉÉÉiis bird tv « ^ to n ym e s , as they
simultaneously figure! a h i de^TOed it in their i&sngctive works
under the different names quoted in oür list, though Vieillot
peréêiveâ it to be the s p e c ^ intended by Wtisofi. T h e*
authors of the Illustrations of Ornithology did nj^feecognise jn
their Lobipes incanm the young, of this,, which is not much to Be
Wondered« a t ; but it is. raffier/ext-raordmpby■ that writers so -justly
jsscrupulous about'fh^mghtst'df' priority sh-ould adopt, though
greatly posterior, Tcmminck’si name' instead ©frSabine’s, thus
fl|ghtingnp y e ^ ^ oFThe best ©f the few posdtivd^oological labours
o f their -.owj.eWntrymen, ind after it had bfeen- already sanctioned
by straingbEsit'; i
Hlfeat the Lobipes incanus iss tteyoung^ofiiitbats species, which any
one familiar with .the e-hanges. 0tfj.plumage o f ^ e Pbalaropes might
JhavefsuspectecLjwill, istdshtopedfhe placed beyond future question
^ the figtjhfe vmnpw gi'yo 'also of if. ;
, If the bill only .-were considered, this species} might with some
propriety be-united.} sub-geirorically w ith jh e P. hypi&rboveus, but as
by its^febtjit-differs considerably from befth they Other Phalaisopes,
which* agree in this particular, we hdve instituted for it a> peculiar
snhg,^M®s under the n am ew f Holopodius, which regard as in
all. re sp e e t^m b re essentially different from th e old groups than
they are-from eac^qthefrm, w h a t respect,Mr. Sabine found this
spe c ie^w h ich he* so well established, inter mediafcd between the
two,-, we are at a*Ip«.s to imagine*
(Calculated crystals from another source follow)
~~~
# NaCuB2S4
Calculated X-ray diffraction stick pattern, Cu Kα, 1.54184 Å. Input: a cell relaxed with PBE.
Kinematic intensities with the Lorentz-polarization factor, no thermal factor.

Peak list (12 most intense, 10 to 80 degrees two-theta, in order of rising 2θ)
- 13.9 deg, intensity 75
- 14.7 deg, intensity 100
- 21.2 deg, intensity 15
- 27.6 deg, intensity 85
- 29.9 deg, intensity 15
- 32.1 deg, intensity 52
- 38.3 deg, intensity 34
- 38.5 deg, intensity 23
- 42.6 deg, intensity 11
- 44.2 deg, intensity 14
- 47.4 deg, intensity 18
- 50.9 deg, intensity 20

Atomic structure:
a = 7.4453 Å, b = 7.4453 Å, c = 7.4453 Å
α = 145.13°, β = 119.61°, γ = 71.67°
Fractional coordinates of all 8 atoms:
1 Na 0.0000 0.0000 0.0000
2 Cu 0.5000 0.0000 0.5000
3 B 0.3018 0.5000 0.8018
4 B 0.6982 0.5000 0.1982
5 S 0.1790 0.1618 0.5663
6 S 0.4045 0.8382 0.0172
7 S 0.5955 0.6127 0.4337
8 S 0.8210 0.3873 0.9828

# Rb4ThSe4
Calculated X-ray diffraction stick pattern, Cu Kα, 1.54184 Å. Input: a cell relaxed with PBE.
Kinematic intensities with the Lorentz-polarization factor, no thermal factor.

Peak list (12 most intense, 10 to 80 degrees two-theta, in order of rising 2θ)
- 11.1 deg, intensity 52
- 23.6 deg, intensity 13
- 26.6 deg, intensity 100
- 27.0 deg, intensity 47
- 30.5 deg, intensity 22
- 31.5 deg, intensity 12
- 36.7 deg, intensity 22
- 37.8 deg, intensity 31
- 38.6 deg, intensity 33
- 39.1 deg, intensity 21
- 48.2 deg, intensity 19
- 70.1 deg, intensity 12

Atomic structure:
a = 8.4696 Å, b = 8.4696 Å, c = 11.6623 Å
α = 120.31°, β = 120.31°, γ = 31.54°
Fractional coordinates of all 9 atoms:
1 Rb 0.1275 0.1275 0.4029
2 Rb 0.2965 0.2965 0.1716
3 Rb 0.7035 0.7035 0.8284
4 Rb 0.8725 0.8725 0.5971
5 Th 0.5000 0.5000 0.0000
6 Se 0.0680 0.0680 0.9032
7 Se 0.3149 0.3149 0.7455
8 Se 0.6851 0.6851 0.2545
9 Se 0.9320 0.9320 0.0968

# TbSmHoCd
Calculated X-ray diffraction stick pattern, Cu Kα, 1.54184 Å. Input: a cell relaxed with PBE.
Kinematic intensities with the Lorentz-polarization factor, no thermal factor.

Peak list (12 most intense, 10 to 80 degrees two-theta, in order of rising 2θ)
- 26.6 deg, intensity 4
- 31.7 deg, intensity 100
- 35.2 deg, intensity 40
- 39.8 deg, intensity 11
- 46.6 deg, intensity 4
- 50.6 deg, intensity 14
- 54.2 deg, intensity 18
- 56.9 deg, intensity 4
- 60.9 deg, intensity 31
- 66.2 deg, intensity 10
- 67.3 deg, intensity 7
- 74.3 deg, intensity 5

Atomic structure:
a = 3.6089 Å, b = 3.6089 Å, c = 9.0507 Å
α = 90.00°, β = 90.00°, γ = 90.00°
Fractional coordinates of all 4 atoms:
1 Tb 0.0000 0.0000 0.0000
2 Sm 0.5000 0.5000 0.2772
3 Ho 0.0000 0.0000 0.5522
4 Cd 0.5000 0.5000 0.7732

# LaHfAg
Calculated X-ray diffraction stick pattern, Cu Kα, 1.54184 Å. Input: a cell relaxed with PBE.
Kinematic intensities with the Lorentz-polarization factor, no thermal factor.

Peak list (12 most intense, 10 to 80 degrees two-theta, in order of rising 2θ)
- 18.2 deg, intensity 19
- 29.8 deg, intensity 67
- 30.2 deg, intensity 21
~~~
(The text goes on)
In fact, in .Holopodius, so opposiyef4dk.^{uvi'eK,S'' Lobipes both in
name and character, the tsaesishaveya mtefow border' formed hy a
subentite -membrane; the -outeb con>nemcnJI@» th e first joiixt only ;
the inner-almost cleft, and the hind toe - long1' and testing on the
ground: the two other-groups h%ingthe«o^broadlyibordereiiWith
a--deeply scalloped membrane and semap&lmated* tfie- hind- toe is
very short,, the mail Gnl^-touching the» grounds!!' The Lobipes of
# These data records were left in the text by mistake
-- begin --
Record 1
This entry pairs a crystal structure of Ca4Te3 with its simulated powder diffraction line list. Radiation: Cu Kα, 1.54184 Å. Structure: DFT lattice parameters and positions (GGA-PBE).
Lines closer than 0.1° are merged.

```
data_Ca4Te3
_chemical_formula_sum 'Ca12 Te9'
_cell_length_a 4.4371
_cell_length_b 4.4371
_cell_length_c 43.2398
_cell_angle_alpha 90.00
_cell_angle_beta 90.00
_cell_angle_gamma 120.00
_space_group_name_H-M_alt 'R -3 m'
_space_group_IT_number 166
_space_group_name_Hall '-R 3 2"'
loop_
_atom_site_label
_atom_site_fract_x
_atom_site_fract_y
_atom_site_fract_z
_atom_site_occupancy
Ca1 0.0000 0.0000 0.1236 1
Ca2 0.0000 0.0000 0.3699 1
Te1 0.0000 0.0000 0.2536 1
Te2 0.0000 0.0000 0.5000 1
```

Peak list (12 most intense, 2θ = 10–80°, sorted by position)
2θ 24.59, d 3.621, rel. 20, hkl 1 0 4; 2θ 25.36, d 3.512, rel. 13, hkl 0 1 5; 2θ 28.50, d 3.132, rel. 100, hkl 0 1 8; 2θ 35.70, d 2.515, rel. 10, hkl 1 0 13; 2θ 40.67, d 2.219, rel. 38, hkl 1 1 0; 2θ 40.82, d 2.211, rel. 34, hkl 1 0 16; 2θ 48.14, d 1.890, rel. 10, hkl 0 2 4; 2θ 50.41, d 1.810, rel. 20, hkl 2 0 8; 2θ 58.99, d 1.566, rel. 11, hkl 0 2 16; 2θ 66.68, d 1.403, rel. 16, hkl 1 2 8; 2θ 66.90, d 1.399, rel. 13, hkl 1 1 24; 2θ 74.11, d 1.279, rel. 11, hkl 2 1 16

Record 2
This entry pairs a crystal structure of CaThTe6 with its simulated powder diffraction line list. Radiation: Cu Kα, 1.54184 Å. Structure: DFT lattice parameters and positions (GGA-PBE).
Lines closer than 0.1° are merged.

```
data_CaThTe6
_chemical_formula_sum 'Ca2 Th2 Te12'
_cell_length_a 4.409
_cell_length_b 4.409
_cell_length_c 27.340
_cell_angle_alpha 90.00
_cell_angle_beta 90.00
_cell_angle_gamma 90.00
_space_group_name_H-M_alt 'A m m 2'
_space_group_IT_number 38
_space_group_name_Hall 'A 2 -2'
loop_
_atom_site_label
_atom_site_fract_x
_atom_site_fract_y
_atom_site_fract_z
_atom_site_occupancy
Ca1 0.000 0.000 0.000 1
Th1 0.500 0.000 0.652 1
Te1 0.000 0.000 0.119 1
Te2 0.000 0.000 0.398 1
Te3 0.000 0.000 0.743 1
Te4 0.500 0.000 0.243 1
Te5 0.500 0.000 0.534 1
Te6 0.500 0.000 0.898 1
```

Peak list (12 most intense, 2θ = 10–80°, sorted by position)
2θ 12.95, d 6.835, rel. 22, hkl 0 0 4; 2θ 26.07, d 3.417, rel. 35, hkl 0 0 8; 2θ 28.82, d 3.098, rel. 15, hkl 1 1 1; 2θ 30.30, d 2.950, rel. 100, hkl 1 1 3; 2θ 33.10, d 2.707, rel. 49, hkl 1 1 5; 2θ 36.89, d 2.437, rel. 25, hkl 1 1 7; 2θ 40.93, d 2.205, rel. 44, hkl 2 0 0; 2θ 41.50, d 2.176, rel. 14, hkl 1 1 9; 2θ 46.74, d 1.944, rel. 13, hkl 1 1 11; 2θ 49.18, d 1.853, rel. 25, hkl 2 0 8; 2θ 59.27, d 1.559, rel. 15, hkl 2 2 0; 2θ 68.02, d 1.378, rel. 19, hkl 3 1 3

Record 3
This entry pairs a crystal structure of CaTl12Te7 with its simulated powder diffraction line list. Radiation: Cu Kα, 1.54184 Å. Structure: DFT lattice parameters and positions (GGA-PBE).
Lines closer than 0.1° are merged.

```
data_CaTl12Te7
_chemical_formula_sum 'Ca3 Tl36 Te21'
_cell_length_a 15.1989
_cell_length_b 15.1989
_cell_length_c 12.0165
_cell_angle_alpha 90.00
-- stop --
Cuvier’ differs fmmthe Gtymophilus o f Viei#otrcffily in the shape of
the -bill, st’Sfti flattened, and carinated, in the latter* ftjeiaulbi
and-cylindrical in the forna^r, asj'well, as in ours*
■«EdwardsfiysJ» brought the Phalaropesyinto- notice, a®sd it was
from, his worklpthat Linnaeus and Brisson registered these sin^hlar
von. iv.—Q.